-- Exercise --
Could you work out how many lines further below have the word "compared" in them; a number is enough?

-- File --
Computed, not measured: a cluster of 2 separate species, C3H10N2O2 in total at a distorted geometry, with the ωB97M-V functional and the def2-TZVPD basis.

Structure (ORCA input):
```
! RIJCOSX wB97M-V def2-TZVPD def2/J DEFGRID3
* xyz 0 1
C 1.398 1.283 1.910
N 0.400 0.268 1.764
N 0.712 -0.920 1.691
O 0.282 0.514 -0.853
H 0.905 0.022 -1.405
H -0.053 -1.547 0.510
H 1.728 -1.139 1.677
H 1.244 1.988 1.091
H 1.202 1.814 2.844
H 2.427 0.894 1.886
C -1.614 -0.361 -2.205
C -1.003 -0.353 -0.817
O -0.734 -1.598 -0.368
H -1.596 0.243 -0.110
H -1.717 0.655 -2.577
H -0.985 -0.941 -2.883
H -2.598 -0.822 -2.156
*
```

Summary:
Highest occupied orbital energy, eV: -9.56
Frontier orbital gap, hartree: 0.362
SMILES string: [H]/N=N\C.CC(O)O
Energy above the lowest of the compared OMol25 structures with the same formula, charge and spin, kcal/mol: 79.2

~~~~~

Entry 1:
Molecular formula: C38H64F3N4O8P
Method: DFT, the ωB97M-V functional and the def2-TZVPD basis

CARTESIAN COORDINATES (ANGSTROEM)
C1 2.208 -1.453 2.938
C2 2.001 -2.311 1.571
P1 2.748 -1.200 0.174
C3 4.094 -2.302 -0.661
C4 1.381 -0.688 -1.028
N1 0.433 -1.693 -1.620
N2 0.312 -2.943 -1.073
C5 -0.907 -3.744 -1.343
C6 -1.466 -4.227 -2.758
O1 -1.558 -4.131 -0.329
C7 1.364 -3.942 -1.479
C8 1.857 -4.284 -2.953
O2 1.867 -4.665 -0.572
C9 -0.840 -0.892 -1.895
C10 -1.863 -0.744 -0.692
C11 -1.882 0.605 0.145
O3 -1.232 0.608 1.242
C12 -2.654 1.944 -0.204
C13 -4.159 2.082 -0.535
C14 -4.708 3.484 -0.898
C15 -3.849 4.770 -0.947
C16 -2.341 4.657 -0.568
C17 -1.807 3.254 -0.214
C18 -0.516 0.487 -2.715
O4 -1.325 0.551 -3.924
C19 -2.658 1.029 -3.641
C20 -3.648 0.255 -4.692
C21 -4.982 -0.129 -3.881
O5 -2.961 -1.018 -4.963
O6 0.838 0.593 -3.189
C22 1.849 0.413 -2.153
C23 3.199 0.026 -2.918
C24 4.555 0.579 -2.279
C25 5.776 -0.134 -3.108
C26 6.627 0.891 -4.000
C27 5.763 1.892 -4.907
N3 5.730 3.264 -4.247
C28 1.929 1.841 -1.366
O7 2.504 2.912 -2.121
C29 1.635 3.602 -2.965
F1 2.139 4.941 -3.060
F2 1.652 3.125 -4.317
F3 0.299 3.720 -2.550
H1 1.249 -0.829 3.077
H2 2.251 -2.203 3.797
H3 3.119 -0.772 2.859
H4 2.549 -3.327 1.604
H5 0.873 -2.447 1.449
H6 3.814 -2.631 -1.714
H7 4.263 -3.248 -0.030
H8 5.101 -1.767 -0.731
H9 0.737 -0.024 -0.322
H10 0.787 -1.837 -2.605
H11 -1.305 -5.352 -2.857
H12 -2.580 -3.965 -2.894
H13 -0.875 -3.686 -3.584
H14 1.880 -3.364 -3.656
H15 1.122 -5.043 -3.416
H16 2.872 -4.804 -2.894
H17 -1.412 -1.474 -2.723
H18 -1.773 -1.592 0.091
H19 -2.929 -0.880 -1.126
H20 -4.810 1.136 -0.537
H21 -5.813 3.594 -1.178
H22 -4.233 5.798 -1.241
H23 -1.602 5.527 -0.569
H24 -0.687 3.174 0.048
H25 -0.753 1.439 -2.140
H26 -2.728 2.163 -3.860
H27 -3.064 0.772 -2.609
H28 -3.828 0.848 -5.648
H29 -5.517 -1.017 -4.396
H30 -4.776 -0.496 -2.806
H31 -5.703 0.773 -3.835
H32 -3.610 -1.690 -5.261
H33 3.118 0.515 -3.965
H34 3.174 -1.101 -3.113
H35 4.716 1.706 -2.394
H36 4.713 0.334 -1.177
H37 5.346 -1.009 -3.720
H38 6.491 -0.576 -2.327
H39 7.411 1.412 -3.338
H40 7.245 0.242 -4.734
H41 6.184 2.069 -5.956
H42 4.661 1.593 -5.023
H43 6.362 3.290 -3.432
H44 4.793 3.449 -3.848
H45 2.652 1.631 -0.486
H46 0.917 2.033 -0.880
C30 -3.224 -1.701 5.829
C31 -2.065 -1.114 6.681
C32 -2.669 -0.129 7.708
C33 -3.139 1.176 7.061
C34 -2.023 1.820 6.244
C35 -1.373 0.855 5.227
N4 -1.024 -0.467 5.823
O8 0.085 -0.279 6.594
C36 -2.318 0.634 4.024
C37 -0.143 1.562 4.596
C38 -1.486 -2.361 7.397
H47 -3.679 -2.567 6.321
H48 -4.045 -1.002 5.669
H49 -2.867 -2.053 4.857
H50 -1.934 0.108 8.485
H51 -3.516 -0.595 8.224
H52 -4.013 1.005 6.429
H53 -3.468 1.872 7.839
H54 -2.416 2.699 5.726
H55 -1.260 2.195 6.939
H56 -1.911 -0.116 3.341
H57 -2.445 1.558 3.451
H58 -3.324 0.327 4.306
H59 0.581 1.893 5.341
H60 -0.452 2.458 4.046
H61 0.366 0.903 3.888
H62 -1.110 -3.084 6.667
H63 -2.257 -2.860 7.995
H64 -0.673 -2.125 8.088

Computed properties:
* gap between HOMO and LUMO (spin up / spin down): 2.150 / 2.082 eV
* F_max: 7.9 eV Å⁻¹
* 2S+1: 2
* E_LUMO (spin up / spin down): -5.15 / -8.06 eV
* DFT total energy: -80201.2349 eV
* total charge: +1

Entry 2:

-- Done --
1